• Excerpt:
First-principles (PBE) data for Co3W after structural relaxation, as listed in Alexandria via LeMat-Bulk.

Properties
Energy relative to the elements = 0.083 eV/atom
E = -33.94 eV/cell

Geometry as CIF:
```
data_Co3W
_chemical_formula_sum 'Co3 W1'
_symmetry_space_group_name_H-M 'P 1'
_symmetry_Int_Tables_number 1
_cell_length_a 2.6354
_cell_length_b 4.0941
_cell_length_c 4.4269
_cell_angle_alpha 90.00
_cell_angle_beta 90.00
_cell_angle_gamma 90.00
loop_
_symmetry_equiv_pos_as_xyz
'x,y,z'
loop_
_atom_site_label
_atom_site_type_symbol
_atom_site_fract_x
_atom_site_fract_y
_atom_site_fract_z
Co1 Co 0.0000 0.0000 0.0000
Co2 Co 0.0000 0.5000 0.3312
Co3 Co 0.5000 0.0000 0.4774
W1 W 0.5000 0.5000 0.8243
```

* * * * *

No. 1
Entry from Alexandria: a crystal of In2ReRh relaxed with PBEsol (meta-GGA SCAN).

Computed properties:
Energy of formation (eV/atom): 0.239
Fermi-level density of states (states/eV/f.u.): 2.147
ΔE to the lowest computed polymorph (kJ/mol of formula units): 43
Calculated total energy (eV/atom): -42.67

Unit cell a=2.9358 b=2.9358 c=7.7123 alpha=90.00 beta=90.00 gamma=90.00
Last column: nearest neighbours and their distance in Å.
Space group P4/mmm (No. 123)
Unique sites:
In1 0.0000 0.0000 0.2362 (multiplicity 2)  4 Rh 2.76, 4 Re 2.91, 4 In 2.94
Re1 0.5000 0.5000 0.5000 (multiplicity 1)  8 In 2.91, 4 Re 2.94
Rh1 0.5000 0.5000 0.0000 (multiplicity 1)  8 In 2.76, 4 Rh 2.94

***

No. 2
Entry from Alexandria: a crystal of ScFeO2 relaxed with PBEsol (meta-GGA SCAN).

Computed properties:
Fermi-level density of states (states/eV/f.u.): 0.901
Calculated total energy (eV/atom): -13.79

Unit cell a=3.1812 b=3.1812 c=17.1087 alpha=90.00 beta=90.00 gamma=120.00
Last column: nearest neighbours and their distance in Å.
Space group R-3m (No. 166, hexagonal axes)
Unique sites:
Sc1 0.0000 0.0000 0.0000 (multiplicity 3)  6 O 2.10
Fe1 0.0000 0.0000 0.5000 (multiplicity 3)  2 O 1.83
O1 0.0000 0.0000 0.3928 (multiplicity 6)  1 Fe 1.83

***

No. 3
Entry from Alexandria: a crystal of AlRuSe relaxed with PBEsol (meta-GGA SCAN).

Computed properties:
Fermi-level density of states (states/eV/f.u.): 2.180
ΔE to the lowest computed polymorph (kJ/mol of formula units): 0
Calculated total energy (eV/atom): -20.59

Unit cell a=5.8842 b=5.8842 c=5.8842 alpha=90.00 beta=90.00 gamma=90.00
Last column: nearest neighbours and their distance in Å.
Space group F-43m (No. 216)
Unique sites:
Al1 0.0000 0.0000 0.0000 (multiplicity 4)  4 Se 2.55, 4 Ru 2.55
Ru1 0.2500 0.2500 0.2500 (multiplicity 4)  4 Al 2.55
Se1 0.2500 0.2500 0.7500 (multiplicity 4)  4 Al 2.55

***

No. 4
Entry from Alexandria: a crystal of Mg2Ta2MnO8 relaxed with PBEsol (meta-GGA SCAN).

Computed properties:
Fermi-level density of states (states/eV/f.u.): 0.000
Calculated total energy (eV/atom): -19.18

Unit cell a=19.0411 b=5.9642 c=5.1649 alpha=90.00 beta=90.46 gamma=90.00
Last column: nearest neighbours and their distance in Å.
Space group C2/c (No. 15)
Unique sites:
Mg1 0.2276 0.1428 0.2452 (multiplicity 8)  4 O 1.98-2.10
Ta1 0.1168 0.3376 0.7428 (multiplicity 8)  5 O 1.84-2.04
Mn1 0.0000 0.1531 0.2500 (multiplicity 4)  6 O 2.08-2.19
O1 0.0595 0.1266 0.5881 (multiplicity 8)  1 Ta 1.84
O2 0.0714 0.3895 0.0766 (multiplicity 8)  2 Ta 1.96-2.03, 1 Mn 2.16
O3 0.1866 0.3987 0.4529 (multiplicity 8)  2 Mg 2.03-2.26, 1 Ta 2.04
O4 0.1916 0.1459 0.8793 (multiplicity 8)  1 Ta 1.95, 3 Mg 1.98-2.10

***

No. 5
Entry from Alexandria: a crystal of BeInCo2 relaxed with PBEsol (meta-GGA SCAN).

Computed properties:
Energy of formation (eV/atom): 0.261
Fermi-level density of states (states/eV/f.u.): 2.552
Calculated total energy (eV/atom): -17.83

Unit cell a=2.6980 b=3.8292 c=4.9576 alpha=90.00 beta=105.73 gamma=90.00
Last column: nearest neighbours and their distance in Å.
Space group Pm (No. 6)
Unique sites:
Be1 0.0000 0.0000 0.0000 (multiplicity 1)  4 Co 2.12-2.30
In1 0.3623 0.5000 0.7174 (multiplicity 1)  3 Co 2.50-2.64, 2 In 2.70, 4 Be 2.70-2.71

• To do:
Search the lines further above for the word "PBE" and set down each line that has it.

• Solution:
First-principles (PBE) data for Co3W after structural relaxation, as listed in Alexandria via LeMat-Bulk.